# Material
-- begin --
(1)
Entry from the OMol25 dataset: a gas-phase ion, CH6BIOP (charge -1) in a non-equilibrium geometry (wB97M-V/def2-TZVPD).

Results
E_LUMO ... 0.116 Eh
Orbital gap ... 6.605 eV
Highest occupied orbital energy ... -3.46 eV
Largest force on an atom ... 3.0 eV/Å
Total charge ... -1
Molar mass ... 202.748 g mol⁻¹

Structure (XYZ):
```
11
Properties=species:S:1:pos:R:3:forces:R:3:mulliken_charge:R:1
C -0.99838 -1.06093 -0.57395 -0.742 0.735 -1.317 -0.84
P -0.33092 -0.12765 0.95292 -1.060 -0.679 1.270 -0.02
O -1.22494 1.37248 1.24550 0.210 -0.848 -2.835 -0.50
B 1.46344 0.37232 0.50216 -0.171 0.453 0.380 0.03
I 2.02936 0.02244 -1.58789 0.582 -0.053 -1.289 -0.32
H -1.02482 -0.28109 -1.47588 0.234 -1.902 1.496 0.20
H -2.10303 -1.45166 -0.46573 2.241 0.524 0.043 0.27
H -0.21718 -1.93247 -0.80127 -1.829 1.978 0.432 0.21
H -1.36317 1.79167 0.34456 0.288 -0.341 1.524 0.27
H 1.54262 1.54596 0.68840 0.112 0.340 0.137 -0.14
H 2.22701 -0.25108 1.17119 0.136 -0.207 0.159 -0.15
```
Positions in Å, forces in eV/Å.

=====

(2)
Entry from the OMol25 dataset: a single CH6BN molecule in a non-equilibrium geometry (wB97M-V/def2-TZVPD).

Results
E_LUMO ... 0.032 Eh
Orbital gap ... 10.689 eV
SMILES string ... BNC
Highest occupied orbital energy ... -9.83 eV
Largest force on an atom ... 3.6 eV/Å
Relative energy (zero: lowest compared OMol25 entry of this formula, charge and spin) ... 31.27 kcal per mole
Molar mass ... 42.878 g mol⁻¹

Structure (XYZ):
```
9
Properties=species:S:1:pos:R:3:forces:R:3:mulliken_charge:R:1
B 1.37266 -0.26879 -0.33759 -0.504 -0.104 -0.398 0.07
C -1.13428 0.38756 0.03177 -0.617 -2.844 2.189 -0.61
N 0.23842 -0.09443 0.47329 -0.969 0.774 -1.536 -0.24
H 2.41755 -0.45580 0.18803 0.105 -0.346 0.218 -0.07
H 1.32530 -0.31846 -1.55274 -0.171 0.594 0.446 -0.09
H -1.60261 1.15436 0.74065 1.048 -0.844 -1.119 0.22
H -1.02112 0.71979 -0.97958 -0.257 0.336 -0.407 0.30
H -1.87253 -0.56011 0.08988 1.469 2.161 -0.417 0.21
H 0.27660 -0.56412 1.34629 -0.105 0.272 1.023 0.19
```
Positions in Å, forces in eV/Å.

=====

(3)
Entry from the OMol25 dataset: a molecular structure, CH6BeO6 in a non-equilibrium geometry (wB97M-V/def2-TZVPD).

Results
E_LUMO ... -0.029 Eh
Orbital gap ... 6.453 eV
Highest occupied orbital energy ... -7.24 eV
Largest force on an atom ... 10.3 eV/Å
Molar mass ... 123.065 g mol⁻¹

Structure (XYZ):
```
14
Properties=species:S:1:pos:R:3:forces:R:3:mulliken_charge:R:1
Be -0.07173 0.36321 -0.08638 -1.311 0.928 -1.190 -0.02
C 0.80874 2.09230 -0.50149 -1.006 -0.242 -10.261 0.65
O -0.38663 1.73135 -0.90433 -6.805 -0.438 2.708 -0.43
O 1.28854 0.98908 -0.12272 5.554 -3.358 5.825 -0.41
O 1.27321 2.75214 -1.43599 3.594 3.703 2.461 -0.63
O -0.37278 -0.86171 -1.22126 0.715 -0.858 -2.487 -0.29
H 0.10788 -0.82374 -2.11361 -0.923 0.402 1.978 0.34
H -0.85785 -1.69641 -1.23196 0.130 0.223 0.304 0.33
O 0.73606 -1.48793 1.20192 -1.736 0.120 -0.150 -0.50
H 1.64457 -1.34536 1.33342 2.003 0.752 0.148 0.27
H 0.60245 -2.38485 1.46995 -0.241 -0.900 0.225 0.28
O -1.26325 0.37518 1.09916 0.047 -0.406 0.297 -0.29
H -2.13402 0.65800 0.81856 -0.141 0.501 -0.345 0.36
H -1.37520 -0.36126 1.69472 0.120 -0.430 0.487 0.35
```
Positions in Å, forces in eV/Å.

=====

(4)
Entry from the OMol25 dataset: 2 unconnected molecules or ions with the total composition CH6FN4 in a non-equilibrium geometry (wB97M-V/def2-TZVPD).

Results
E_LUMO (alpha / beta) ... -0.240 / -0.236 Eh
Orbital gap (alpha / beta) ... 8.226 / 8.195 eV
Highest occupied orbital energy (alpha / beta) ... -14.75 / -14.63 eV
Largest force on an atom ... 5.3 eV/Å
Total charge ... +1
Relative energy (zero: lowest compared OMol25 entry of this formula, charge and spin) ... 57.17 kcal per mole
Molar mass ... 93.085 g mol⁻¹

Structure (XYZ):
```
12
Properties=species:S:1:pos:R:3:forces:R:3:mulliken_charge:R:1
C 0.03825 -0.60291 0.32313 0.779 -3.836 3.508 0.16
N -2.19887 -0.21167 -0.26821 1.358 -0.674 -0.232 -0.29
N -0.91537 0.00468 -0.34371 -3.460 2.800 -0.310 -0.01
-- stop --

# What to do
Quote all of the rows further above unchanged.

# Here it is
(1)
Entry from the OMol25 dataset: a gas-phase ion, CH6BIOP (charge -1) in a non-equilibrium geometry (wB97M-V/def2-TZVPD).

Results
E_LUMO ... 0.116 Eh
Orbital gap ... 6.605 eV
Highest occupied orbital energy ... -3.46 eV
Largest force on an atom ... 3.0 eV/Å
Total charge ... -1
Molar mass ... 202.748 g mol⁻¹

Structure (XYZ):
```
11
Properties=species:S:1:pos:R:3:forces:R:3:mulliken_charge:R:1
C -0.99838 -1.06093 -0.57395 -0.742 0.735 -1.317 -0.84
P -0.33092 -0.12765 0.95292 -1.060 -0.679 1.270 -0.02
O -1.22494 1.37248 1.24550 0.210 -0.848 -2.835 -0.50
B 1.46344 0.37232 0.50216 -0.171 0.453 0.380 0.03
I 2.02936 0.02244 -1.58789 0.582 -0.053 -1.289 -0.32
H -1.02482 -0.28109 -1.47588 0.234 -1.902 1.496 0.20
H -2.10303 -1.45166 -0.46573 2.241 0.524 0.043 0.27
H -0.21718 -1.93247 -0.80127 -1.829 1.978 0.432 0.21
H -1.36317 1.79167 0.34456 0.288 -0.341 1.524 0.27
H 1.54262 1.54596 0.68840 0.112 0.340 0.137 -0.14
H 2.22701 -0.25108 1.17119 0.136 -0.207 0.159 -0.15
```
Positions in Å, forces in eV/Å.

=====

(2)
Entry from the OMol25 dataset: a single CH6BN molecule in a non-equilibrium geometry (wB97M-V/def2-TZVPD).

Results
E_LUMO ... 0.032 Eh
Orbital gap ... 10.689 eV
SMILES string ... BNC
Highest occupied orbital energy ... -9.83 eV
Largest force on an atom ... 3.6 eV/Å
Relative energy (zero: lowest compared OMol25 entry of this formula, charge and spin) ... 31.27 kcal per mole
Molar mass ... 42.878 g mol⁻¹

Structure (XYZ):
```
9
Properties=species:S:1:pos:R:3:forces:R:3:mulliken_charge:R:1
B 1.37266 -0.26879 -0.33759 -0.504 -0.104 -0.398 0.07
C -1.13428 0.38756 0.03177 -0.617 -2.844 2.189 -0.61
N 0.23842 -0.09443 0.47329 -0.969 0.774 -1.536 -0.24
H 2.41755 -0.45580 0.18803 0.105 -0.346 0.218 -0.07
H 1.32530 -0.31846 -1.55274 -0.171 0.594 0.446 -0.09
H -1.60261 1.15436 0.74065 1.048 -0.844 -1.119 0.22
H -1.02112 0.71979 -0.97958 -0.257 0.336 -0.407 0.30
H -1.87253 -0.56011 0.08988 1.469 2.161 -0.417 0.21
H 0.27660 -0.56412 1.34629 -0.105 0.272 1.023 0.19
```
Positions in Å, forces in eV/Å.

=====

(3)
Entry from the OMol25 dataset: a molecular structure, CH6BeO6 in a non-equilibrium geometry (wB97M-V/def2-TZVPD).

Results
E_LUMO ... -0.029 Eh
Orbital gap ... 6.453 eV
Highest occupied orbital energy ... -7.24 eV
Largest force on an atom ... 10.3 eV/Å
Molar mass ... 123.065 g mol⁻¹

Structure (XYZ):
```
14
Properties=species:S:1:pos:R:3:forces:R:3:mulliken_charge:R:1
Be -0.07173 0.36321 -0.08638 -1.311 0.928 -1.190 -0.02
C 0.80874 2.09230 -0.50149 -1.006 -0.242 -10.261 0.65
O -0.38663 1.73135 -0.90433 -6.805 -0.438 2.708 -0.43
O 1.28854 0.98908 -0.12272 5.554 -3.358 5.825 -0.41
O 1.27321 2.75214 -1.43599 3.594 3.703 2.461 -0.63
O -0.37278 -0.86171 -1.22126 0.715 -0.858 -2.487 -0.29
H 0.10788 -0.82374 -2.11361 -0.923 0.402 1.978 0.34
H -0.85785 -1.69641 -1.23196 0.130 0.223 0.304 0.33
O 0.73606 -1.48793 1.20192 -1.736 0.120 -0.150 -0.50
H 1.64457 -1.34536 1.33342 2.003 0.752 0.148 0.27
H 0.60245 -2.38485 1.46995 -0.241 -0.900 0.225 0.28
O -1.26325 0.37518 1.09916 0.047 -0.406 0.297 -0.29
H -2.13402 0.65800 0.81856 -0.141 0.501 -0.345 0.36
H -1.37520 -0.36126 1.69472 0.120 -0.430 0.487 0.35
```
Positions in Å, forces in eV/Å.

=====

(4)
Entry from the OMol25 dataset: 2 unconnected molecules or ions with the total composition CH6FN4 in a non-equilibrium geometry (wB97M-V/def2-TZVPD).

Results
E_LUMO (alpha / beta) ... -0.240 / -0.236 Eh
Orbital gap (alpha / beta) ... 8.226 / 8.195 eV
Highest occupied orbital energy (alpha / beta) ... -14.75 / -14.63 eV
Largest force on an atom ... 5.3 eV/Å
Total charge ... +1
Relative energy (zero: lowest compared OMol25 entry of this formula, charge and spin) ... 57.17 kcal per mole
Molar mass ... 93.085 g mol⁻¹

Structure (XYZ):
```
12
Properties=species:S:1:pos:R:3:forces:R:3:mulliken_charge:R:1
C 0.03825 -0.60291 0.32313 0.779 -3.836 3.508 0.16
N -2.19887 -0.21167 -0.26821 1.358 -0.674 -0.232 -0.29
N -0.91537 0.00468 -0.34371 -3.460 2.800 -0.310 -0.01